Saving Skinks!

Saving Skinks!

Skinks are at risk! Let’s do what we can to save them…wait, what’s a Skink?

RiverStone Environmental Solutions Inc. has been awarded some funding through the Species at Risk Stewardship Fund to support the protection of the Five-lined Skink in Ontario. The funding is specifically directed to supporting the Southern Shield population of Five-lined Skink which is currently listed as a species of Special Concern. This winter, RiverStone staff will be visiting classrooms and interested community groups to discuss the ecology of Five-lined Skinks and share some tips for what you can do to help protect the population. If you don't have a chance to participate, keep reading to learn all about Skinks!

What comes next are calculated crystals, not part of the page:
~~~
1.
DFT (PBE) results for a relaxed structure of BaPuBiO2.

DOS at the Fermi energy   1.4411 states/eV/atom
Space-group type   No. 63
Total DFT energy (no corrections)   -8.128 eV per atom

Cell: 5.745 6.030 7.937 Å, 112.33 90.00 90.00°
Site moments in Bohr magnetons follow the coordinates.
Atoms (fractional coordinates):
Ba 0.250 0.600 0.200  0.00
Ba 0.750 0.400 0.800  0.00
Pu 0.250 0.933 0.866  4.55
Pu 0.750 0.067 0.134  4.55
Bi 0.750 0.751 0.503  -0.15
Bi 0.250 0.249 0.497  -0.15
O 0.500 0.218 0.000  -0.12
O 0.000 0.782 0.000  -0.12
O 0.500 0.782 0.000  -0.12
O 0.000 0.218 0.000  -0.12

=====

2.
DFT (PBE) results for a relaxed structure of Ba2MgHg4Pb2.

DOS at the Fermi energy   0.4113 states/eV/atom
ΔE_f   -0.370 eV/atom
Space-group type   No. 139

Cell: 7.404 7.404 7.404 Å, 88.46 120.89 120.89°
Atoms (fractional coordinates):
Ba 0.500 0.750 0.250
Ba 0.500 0.250 0.750
Mg 0.000 0.000 0.000
Hg 0.000 0.727 0.273
Hg 0.455 0.727 0.727
Hg 0.000 0.273 0.727
Hg 0.545 0.273 0.273
Pb 0.000 0.701 0.701
Pb 0.000 0.299 0.299

=====

3.
DFT (PBE) results for a relaxed structure of Pm2Y3Er2.

DOS at the Fermi energy   1.6108 states/eV/atom
ΔE_f   0.124 eV/atom
Energy above the lowest structure with this stoichiometry   0.0 meV/atom
Space-group type   No. 12

Cell: 3.508 8.579 8.958 Å, 118.69 101.29 90.00°
Atoms (fractional coordinates):
Pm 0.566 0.913 0.132
Pm 0.434 0.087 0.868
Y 0.000 0.500 0.000
Y 0.212 0.798 0.424
Y 0.788 0.202 0.576
Er 0.851 0.668 0.701
Er 0.149 0.332 0.299

=====

4.
DFT (PBE) results for a relaxed structure of NdY7Ho2.

DOS at the Fermi energy   2.0434 states/eV/atom
ΔE_f   0.219 eV/atom
Energy above the lowest structure with this stoichiometry   0.0 meV/atom
Space-group type   No. 65

Cell: 3.453 15.128 15.128 Å, 155.28 90.00 90.00°
Atoms (fractional coordinates):
Nd 0.000 0.000 0.000
Y 0.000 0.690 0.310
Y 0.000 0.310 0.690
Y 0.500 0.145 0.347
Y 0.500 0.855 0.653
Y 0.500 0.347 0.145
Y 0.500 0.653 0.855
Y 0.500 0.500 0.500
Ho 0.500 0.793 0.207
Ho 0.500 0.207 0.793

=====

5.
DFT (PBE) results for a relaxed structure of CaZr2Tl.

DOS at the Fermi energy   1.4810 states/eV/atom
ΔE_f   0.254 eV/atom
Energy above the lowest structure with this stoichiometry   290.4 meV/atom
Space-group type   No. 65

Cell: 3.241 3.241 11.246 Å, 90.00 90.00 117.09°
Atoms (fractional coordinates):
Tl 0.500 0.500 0.750
Ca 0.500 0.500 0.250
Zr 0.000 0.000 0.982
Zr 0.000 0.000 0.518

=====

6.
DFT (PBE) results for a relaxed structure of BaBe4Ge3O12.

DOS at the Fermi energy   0.4708 states/eV/atom
Space-group type   No. 155
Total DFT energy (no corrections)   -6.433 eV per atom

Cell: 6.272 6.272 6.272 Å, 105.50 105.50 105.50°
Site moments in Bohr magnetons follow the coordinates.
Atoms (fractional coordinates):
Ba 0.000 0.000 0.000  0.03
Be 0.934 0.066 0.500  -0.01
Be 0.066 0.500 0.934  -0.01
Be 0.500 0.934 0.066  -0.01
Be 0.500 0.500 0.500  0.00
Ge 0.565 0.435 0.000  -0.01
Ge 0.435 0.000 0.565  -0.01
Ge 0.000 0.565 0.435  -0.01
O 0.500 0.341 0.659  0.10
~~~

The Common Five-lined Skink is listed as a Species at Risk in Ontario, and Muskoka provides habitat to this unique species. Specifically, Five-lined Skinks are found in rock barren environments at the southern edge of Muskoka – the population is known as the “Southern Shield” population.

The Common Five-lined Skink is the only lizard native to Ontario and are not often seen due to their quick nature and ability to camouflage. Juveniles and some adults can be readily identified by five cream coloured stripes that extend down the length of their green-black bodies. The species becomes more uniformly bronze with age, though hatchlings and juveniles have bright blue tails. They can grow up to 21 cm in length and while similar in body shape to salamanders, they have scales and claws which sets them apart.

Skinks in Muskoka are typically found in forest openings, specifically large rocky outcrops, seeking shelter under rocks or tree stumps. Females typically lay between 8-10 eggs in the early summer in a nest under cover (e.g. rotting log). They will leave their nest to bask in the sun, and then return to the nest and use their bodies to warm their eggs which hatch in the late summer. The hatchlings will be about 3 cm in length.

== Attached: crystal structures ==
~~~
The following is a PBE calculation of a geometry-optimized Ga2FeIrBr structure, from Alexandria.

Cell: 4.636 4.636 4.459 Å, 90.00 90.00 90.00°
Atoms (fractional coordinates):
Ga 0.000 0.500 0.000
Ga 0.500 0.000 0.000
Fe 0.000 0.000 0.000
Ir 0.500 0.500 0.500
Br 0.000 0.000 0.500

space group = P4/mmm (123)
formation energy without anion corrections = 1.0173 eV/atom
volume = 95.8 Å³ per cell
Fermi-level density of states = 7.75 states/eV per cell
size of the total moment = 0.843 μB/f.u.

***

The following is a PBE calculation of a geometry-optimized AcPAu4 structure, from Alexandria.

Cell: 5.689 5.689 5.689 Å, 60.00 60.00 60.00°
Atoms (fractional coordinates):
Ac 0.000 0.000 0.000
P 0.750 0.750 0.750
Au 0.376 0.376 0.376
Au 0.376 0.376 0.873
Au 0.376 0.873 0.376
Au 0.873 0.376 0.376

space group = F-43m (216)
volume = 130.2 Å³ per cell
Fermi-level density of states = 0.90 states/eV per cell
size of the total moment = 0.000 μB/f.u.
calculated total energy = -24.7 eV/cell
~~~

On cool summer mornings, it’s possible to find Skinks basking in the sun, but most often they are found hiding under cover. They typically hunt in the leaf litter and can even climb trees to escape predators!

Unrelated to this article: data records >
<<<
Entry 1:
Be2FeCo2Si2Ir after structural relaxation, computed with GGA-PBE.

- mass density (g/cm3) = 8.94
- spin magnetization (μB per atom) = 0.000
- calculated total energy (eV per atom) = -6.80

Cell: 3.8613 3.8613 5.4819 Å, 90.00 90.00 90.00°
With the nearest neighbours (Å) after each atom.
Atoms (fractional coordinates):
Be1 0.0000 0.5000 0.2355  2 Fe 2.32, 4 Co 2.32-2.41, 2 Ir 2.41, 1 Si 2.57
Be2 0.5000 0.0000 0.7645  2 Fe 2.32, 4 Co 2.32-2.41, 2 Ir 2.41, 1 Si 2.57
Co1 0.5000 0.5000 0.0000  4 Si 2.32, 4 Be 2.32
Co2 0.0000 0.0000 0.5000  4 Be 2.41, 4 Si 2.42
Fe1 0.0000 0.0000 0.0000  4 Si 2.32, 4 Be 2.32
Ir1 0.5000 0.5000 0.5000  4 Be 2.41, 4 Si 2.42
Si1 0.5000 0.0000 0.2330  2 Fe 2.32, 4 Co 2.32-2.42, 2 Ir 2.42, 1 Be 2.57
Si2 0.0000 0.5000 0.7670  4 Co 2.32-2.42, 2 Fe 2.32, 2 Ir 2.42, 1 Be 2.57



Entry 2:
DyGaSiPt2 after structural relaxation, computed with GGA-PBE.

- mass density (g/cm3) = 12.03
- spin magnetization (μB per atom) = 0.000
- calculated total energy (eV per atom) = -6.09

Cell: 4.1618 4.1618 10.3699 Å, 90.00 90.00 90.00°
With the nearest neighbours (Å) after each atom.
Atoms (fractional coordinates):
Dy1 0.0000 0.5000 0.2504  8 Pt 3.13-3.33, 4 Si 3.20, 4 Ga 3.32
Dy2 0.5000 0.0000 0.7496  8 Pt 3.13-3.33, 4 Si 3.20, 4 Ga 3.32
Ga1 0.0000 0.0000 0.5000  4 Pt 2.58
Ga2 0.5000 0.5000 0.5000  4 Pt 2.58
Pt1 0.0000 0.0000 0.0000  4 Si 2.47
Pt2 0.5000 0.5000 0.0000  4 Si 2.47
Pt3 0.5000 0.0000 0.3533  1 Si 2.33, 4 Ga 2.58
Pt4 0.0000 0.5000 0.6467  1 Si 2.33, 4 Ga 2.58
Si1 0.5000 0.0000 0.1289  5 Pt 2.33-2.47
Si2 0.0000 0.5000 0.8711  5 Pt 2.33-2.47



Entry 3:
Fe2Re after structural relaxation, computed with GGA-PBE.

- mass density (g/cm3) = 4.00
- formation energy from the elements (eV per atom) = 3.1727
- spin magnetization (μB per atom) = 1.592
- calculated total energy (eV per atom) = -6.51

Cell: 7.0483 7.0483 7.0483 Å, 60.00 60.00 60.00°
With the nearest neighbours (Å) after each atom.
Atoms (fractional coordinates):
Fe1 0.3750 0.3750 0.3750  2 Re 2.16
Fe2 0.8750 0.3750 0.3750  2 Re 2.16
Fe3 0.3750 0.8750 0.3750  2 Re 2.16
Fe4 0.3750 0.3750 0.8750  2 Re 2.16
Re1 0.2500 0.2500 0.2500  4 Fe 2.16
Re2 0.5000 0.5000 0.5000  4 Fe 2.16



Entry 4:
Ho3Ga4Cu2 after structural relaxation, computed with GGA-PBE.

- mass density (g/cm3) = 8.57
- spin magnetization (μB per atom) = 0.002
- calculated total energy (eV per atom) = -4.27

Cell: 5.6264 5.6264 8.3200 Å, 110.14 110.14 45.56°
With the nearest neighbours (Å) after each atom.
Atoms (fractional coordinates):
Cu1 0.4015 0.4015 0.2302  3 Ga 2.49
Cu2 0.5985 0.5985 0.7698  3 Ga 2.49
Ga1 0.9643 0.9643 0.1336  2 Cu 2.49, 1 Ga 2.59
Ga2 0.2681 0.2681 0.4243  1 Cu 2.49, 2 Ga 2.61
Ga3 0.7319 0.7319 0.5757  1 Cu 2.49, 2 Ga 2.61
Ga4 0.0357 0.0357 0.8664  2 Cu 2.49, 1 Ga 2.59
Ho1 0.6721 0.6721 0.1536  4 Cu 2.99-3.11, 8 Ga 3.02-3.33
Ho2 0.0000 0.0000 0.5000  8 Ga 2.93-3.13, 4 Cu 3.02
Ho3 0.3279 0.3279 0.8464  4 Cu 2.99-3.11, 8 Ga 3.02-3.33



Entry 5:
>>>
So much for the data records >

The really neat adaptation that Five-lined Skinks have is their bright blue tail can break off if grabbed by a predator. When the tail breaks it will thrash about for a few seconds which distracts the predator for just long enough that the Skink can escape. Although a new tail will grow back with time, the Skink will have lost much of the fat reserves on which it relies to survive hibernation in the winter.
Five-lined Skinks are listed as a species of Special Concern in Ontario, which means they live in the wild, but could become threatened or endangered as a result of a number of threats. The biggest threats to Skinks in Ontario are the loss and disturbance of habitat. Development and population increase in cottage country has a big impact on species at risk. The removal of cover objects has been observed specifically in the Southern Shield population as rocks are moved in high traffic natural areas and woody debris is moved for firewood. Removal of these objects during nesting season has also shown to have a negative effect on nesting success while females are brooding their eggs. Illegal collecting for pets, traffic mortality and increased predation all pose significant threats to Five-lined Skinks in Ontario.

So…what can you do?
Protecting rock barren habitat for species at risk within the Southern Shield population of Five-lined Skink by helping to keep development out of these sensitive areas and limiting disturbance to rock barren habitat are key to help the species thrive. Maintaining cover objects like rocks and logs that Skinks utilize for refuge is one of the simplest things we can do. When you’re spending time outdoors, remember that we need to respect the need for wildlife to have space in nature. Please don’t build inukshuks along hiking trails, keep your pets on a leash, and maintain natural habitat areas around your own property. You could work to create habitat for Five-lined Skinks on your own property by using coverboards or leaving brushpiles for use and be sure not to disturb known nesting sites.

If you have interest in recording your wildlife sightings, you could set up a profile on the iNaturalist app to take photos and notes on the species you come across while out exploring – including Five-lined Skinks! The data collected using this application is used by citizen scientists and environmental professionals alike.
If you’re lucky enough to capture a photo of a Five-lined Skink, be sure to share the sighting, after all, education and awareness for this species is important in helping them thrive!

Copyright 2020 RiverStone Environmental Solutions Inc.